INSPIRED BY | Sara Grippo
At 23 the discovery of an autoimmune disease, in 2018 the transplant and the beginning of a second life. We’ll tell you the story of Sara who has overcome a major obstacle thanks (also) to the climbing
Misplaced data records
Computed, not measured: a relaxed structure of Ca3Sm3ScTe8 at the PBE-GGA level of DFT.

Calculated values
- Raw formation energy: -1.474 eV/atom
- Energy: -4.915 eV/atom
- Crystal system: trigonal

a = 8.8112 Å, b = 8.8112 Å, c = 22.1628 Å
α = 90.00°, β = 90.00°, γ = 120.00°
Last column: nearest neighbours and their distance in Å.
Space group R-3m (No. 166, hexagonal axes)
Inequivalent atoms, fractional coordinates:
Ca 0.0000 0.5000 0.0000 x9  6 Te 3.14-3.15
Sm 0.0000 0.5000 0.5000 x9  6 Te 3.14-3.15
Sc 0.0000 0.0000 0.5000 x3  6 Te 3.02
Te 0.0000 0.0000 0.2504 x6  3 Ca 3.14, 3 Sm 3.15
Te 0.0123 0.5061 0.2465 x18  1 Sc 3.02, 2 Sm 3.14, 2 Ca 3.15

---

Computed, not measured: a relaxed structure of PmYCuAu at the PBE-GGA level of DFT.

Calculated values
- ΔH_f (0 K): -2.00 eV/f.u.
- Energy: -5.147 eV/atom
- Distance to the lowest polymorph of the same formula: 31 meV/atom
- Crystal system: cubic

a = 7.2023 Å, b = 7.2023 Å, c = 7.2023 Å
α = 90.00°, β = 90.00°, γ = 90.00°
Last column: nearest neighbours and their distance in Å.
Space group F-43m (No. 216)
Inequivalent atoms, fractional coordinates:
Pm 0.0000 0.0000 0.0000 x4  4 Cu 3.12, 4 Au 3.12
Y 0.0000 0.0000 0.5000 x4  4 Cu 3.12, 4 Au 3.12
Cu 0.2500 0.2500 0.2500 x4  4 Pm 3.12, 4 Y 3.12
Au 0.2500 0.2500 0.7500 x4  4 Pm 3.12, 4 Y 3.12

---

Computed, not measured: a relaxed structure of KCaErI6 at the PBE-GGA level of DFT.

Calculated values
- Raw formation energy: -1.487 eV/atom
- Energy: -3.372 eV/atom
- Crystal system: trigonal

a = 7.9602 Å, b = 7.9602 Å, c = 15.5335 Å
α = 90.00°, β = 90.00°, γ = 120.00°
Last column: nearest neighbours and their distance in Å.
Space group P-31c (No. 163)
Inequivalent atoms, fractional coordinates:
K 0.0000 0.0000 0.0000 x2  6 I 3.61
Ca 0.3333 0.6667 0.2500 x2  6 I 3.15
Er 0.3333 0.6667 0.7500 x2  6 I 3.03
I 0.0119 0.3726 0.6362 x12  1 Er 3.03, 1 Ca 3.15


Material: CrTcW
Method: DFT, GGA-PBEsol
State: optimized geometry

## Properties
crystal system	trigonal
formation energy	0.123	eV per atom
spin magnetization	0.00	μB per atom
V	13.776	Å³/atom
uncorrected energy	-11.6494	eV/atom

Lattice parameters (Å, degrees): 2.664 4.232 4.232 120.00 90.00 90.00
Sites, in units of the cell vectors:
W  0.323  0.667  0.333
Cr  0.012  0.000  0.000
Tc  0.665  0.333  0.667

***

Material: YInSb2
Method: DFT, GGA-PBEsol
State: optimized geometry

## Properties
crystal system	tetragonal
E_form (uncorrected)	-249	meV/atom
spin magnetization	0.00	μB per atom
V	37.417	Å³/atom
uncorrected energy	-4.9793	eV/atom

Lattice parameters (Å, degrees): 6.907 6.907 7.952 115.74 115.74 90.00
Sites, in units of the cell vectors:
Y  0.500  0.500  0.000
Y  0.750  0.250  0.500
Sb  0.894  0.375  0.250
Sb  0.125  0.106  0.750
Sb  0.625  0.644  0.750
Sb  0.356  0.875  0.250
In  0.250  0.750  0.500
In  0.000  0.000  0.000
Sara Grippo is a woman who has gone beyond her limits. At the age of 23, she discovered that she had an autoimmune disease: unexpected and frighteningly aggressive. From day to day her normal life changed. Physical and mental pain came, the possibility of dying. Nothing was obvious anymore. She did not let herself be won and she held on a great willpower. To her aid, her mother’s teachings, source of inspiration since she was a child. She’s the woman who taught her to fight and to trust and she’s the one who gave her the love for yoga. Yoga and climbing as the best medicines. In the meanwhile, the disease worsened until, at 28, her kidneys worked no longer. Then began dialysis: three times a week tied to a machine with two big needles in the arm for four hours. And every time she came out, she was destroyed. Six years like this, waiting for a kidney transplant. Then the long-awaited call. On 2 February at 4:30 a.m. the phone rang, it was the hospital that had found a compatible kidney. After five-hour operation the rebirth. Now Sara can say that disease has been a severe teacher, but who taught her a lot. A story that Sara has told as speaker also at the TedX in Rimini, a video that we recommend to watch and watch again, till the last minute.
In your life you have gone beyond: you fought a difficult disease without stopping to follow your dreams. How do you exceed our limits?
Willpower is the biggest driving force that we have. It makes us get up and fight. I wanted to live despite the disease. They told me that I could not climb anymore. But I needed to climb and to do yoga to recharge and to think of something else. The passions are anchors in the most difficult moments: we should all cultivate our dreams.
On 2 February 2018 your second life has become: what did you learn?
I learned what it means to be born again and to be even more grateful to life for this new possibility that has been given to me.
Three reasons why you love climbing.
I climb to be fully in the present moment, in the here and now and to perceive every movement of my body. I climb to disconnect myself: I leave thoughts and problems on the ground to climb up. I climb to be in nature, surrounded by friends and to see beautiful landscapes from the air.
What is your idea of fashion?
I believe in the idea of feeling good, more than of fashion. I choose the garments that make me feel and that let me be myself.
Choose the Ferramosca garment that most resembles you.
The V-neck burgundy sweater. When I wear it I feel free, just like I was wearing a cloud, perfect for yoga too. At the same time, I use it to go out, to be with friends or for a more elegant moment.